Crossword Clue with P
Crossword Solver
Wordle Solver
Scrabble Solver
Anagram Solver
WWF Solver
Word Games
Crossword Solver
Wordle Solver
Scrabble Solver
Anagram Solver
WWF Solver
Word Games
Phoebe, mother of
Phoebe, to Mnemosyne
Phoebe, to Saturn
Phoebe's family
Phoebe's player on "Friends"
Phoebe's poetic sister
Phoebe's portrayer
Phoebe's portrayer on "Friends"
Phoebe's twin on "Friends"
phoenic spelling of19th letter of alphabet
Phoenicia capital
Phoenicia region
PHOENICIAN capital, ancient
Phoenician city
PHOENICIAN city/town, ancient
Phoenician deity
Phoenician diety
Phoenician fertility deity
Phoenician god
PHOENICIAN god-king of the city
Phoenician goddess of fertility
PHOENICIAN goddess of life
PHOENICIAN goddess of nature
Phoenician love goddess
PHOENICIAN nature goddess
Phoenician or Palestinian
Phoenician port
Phoenician port city
Phoenician princess
PHOENICIAN river god
Phoenician seaport
PHOENICIAN State, ancient
Phoenician trading center
Phoenician trading center of old
Phoenician vessel
Phoenician, e.g.
Phoenicians and Jews
Phoenicians, e.g.
Phoenicians, Hebrews, et al.
Phoenissae playwright
Phoenix 112 Across
Phoenix and surroundings
Phoenix ballers
Phoenix basketball team
Phoenix basketballer
Phoenix birthplace
Phoenix cager
Phoenix cagers
Phoenix climate
Phoenix construction
Phoenix event
Phoenix five
Phoenix fivesome
Phoenix forwards
Phoenix hoops team
Phoenix hoopsters
Phoenix hrs.
PHOENIX Islands, island of the
Phoenix landing site, 2008
Phoenix loc.
PhoeniX maker
Phoenix Mercury star Taurasi
Phoenix MLB team, on scoreboards
Phoenix NBA team
Phoenix neighbor
Phoenix nest?
Phoenix netters
Phoenix NHL team
Phoenix or Sparrow
Phoenix or Washington
Phoenix origin
Phoenix pros
Phoenix rebirth stuff
Phoenix roundballers
Phoenix sch.
Phoenix setting: Abbr.
Phoenix setting?
Phoenix source
Phoenix squad
Phoenix starters
Phoenix suburb
Phoenix suburb larger than the Midwest city it's named for
Phoenix surroundings
Phoenix team
Phoenix team, on scoreboards
Phoenix to Fresno dir.
Phoenix-___ Gateway Airport
Phoenix-based ballplayer, and what the start of each answer to a starred clue can be
Phoenix-based hotel chain (and see circles)
Phoenix-to-Albuquerque dir.
Phoenix-to-Boise dir.
Phoenix-to-Flagstaff dir.
Phoenix-to-Philly dir.
Phoenix-to-Seattle dir.
PHOENIX, father of
Phoenix, formerly
phoenix, in Chinese mythology
Phoenix, in myth
PHOENIX, mother of
**Someone pasted crystal structures at this point:**
____________
(1)
Theoretical powder diffractogram of KCuS3 for CuKα, from a cell relaxed with PBE.
Peak positions follow from Bragg's law for the DFT cell and can differ from measured ones.

The 8 most intense peaks (5 to 70 degrees two-theta), by intensity:
2θ 11.63, rel. 100, hkl 0 0 1
2θ 24.31, rel. 93, hkl 0 1 1
2θ 41.47, rel. 84, hkl 1 1 2
2θ 35.17, rel. 49, hkl 1 0 2
2θ 49.72, rel. 43, hkl 1 1 3
2θ 43.33, rel. 34, hkl 0 2 0
2θ 35.82, rel. 30, hkl 1 1 1
2θ 31.81, rel. 22, hkl 0 1 2

Structure:
```
data_KCuS3
_space_group_name_H-M_alt 'P m m 2'
_space_group_IT_number 25
_space_group_name_Hall 'P 2 -2'
_cell_length_a 3.4389
_cell_length_b 4.1767
_cell_length_c 7.6107
_cell_angle_alpha 90.00
_cell_angle_beta 90.00
_cell_angle_gamma 90.00
loop_
_atom_site_label
_atom_site_fract_x
_atom_site_fract_y
_atom_site_fract_z
K1 0.0000 0.0000 0.0000
Cu1 0.0000 0.5000 0.6092
S1 0.0000 0.0000 0.4151
S2 0.5000 0.5000 0.3926
S3 0.5000 0.5000 0.8059
```

---

(2)
Theoretical powder diffractogram of SiO2 for CuKα, from a cell relaxed with PBE.
Peak positions follow from Bragg's law for the DFT cell and can differ from measured ones.

The 8 most intense peaks (5 to 70 degrees two-theta), by intensity:
2θ 6.79, rel. 100, hkl 1 1 0
2θ 20.04, rel. 68, hkl 2 0 1
2θ 8.67, rel. 62, hkl 0 2 0
2θ 22.43, rel. 40, hkl 1 5 0
2θ 10.47, rel. 15, hkl 2 0 0
2θ 21.02, rel. 13, hkl 4 0 0
2θ 26.99, rel. 12, hkl 3 5 0
2θ 20.47, rel. 12, hkl 3 3 0

Structure:
```
data_SiO2
_space_group_name_H-M_alt 'C 2 2 2'
_space_group_IT_number 21
_space_group_name_Hall 'C 2 2'
_cell_length_a 16.9052
_cell_length_b 20.3878
_cell_length_c 5.2030
_cell_angle_alpha 90.00
_cell_angle_beta 90.00
_cell_angle_gamma 90.00
loop_
_atom_site_label
_atom_site_fract_x
_atom_site_fract_y
_atom_site_fract_z
Si1 0.0921 0.1210 0.0344
Si2 0.0923 0.2788 0.0285
Si3 0.1840 0.0762 0.5332
Si4 0.1891 0.3115 0.5313
O1 0.0000 0.1005 0.0000
O2 0.0000 0.2991 0.0000
O3 0.1028 0.1998 0.0039
O4 0.1187 0.0976 0.3195
O5 0.1238 0.3041 0.3052
O6 0.1436 0.3142 0.8053
O7 0.1462 0.0854 0.8183
O8 0.2091 0.0000 0.5000
O9 0.2368 0.3799 0.4963
O10 0.2500 0.2500 0.5224
```

---

(3)
Theoretical powder diffractogram of Sm3AlCoS7 for CuKα, from a cell relaxed with PBE.
Peak positions follow from Bragg's law for the DFT cell and can differ from measured ones.

The 8 most intense peaks (5 to 70 degrees two-theta), by intensity:
2θ 25.59, rel. 100, hkl 2 0 1
2θ 17.81, rel. 43, hkl 1 0 1
2θ 36.07, rel. 35, hkl 2 0 2
2θ 35.09, rel. 34, hkl 3 0 1
2θ 40.70, rel. 33, hkl 2 1 2
2θ 36.94, rel. 33, hkl 2 2 0
2θ 28.01, rel. 31, hkl 2 1 0
2θ 41.29, rel. 29, hkl 1 3 1

Structure:
```
data_Sm3AlCoS7
_space_group_name_H-M_alt 'P 63'
_space_group_IT_number 173
_space_group_name_Hall 'P 6c'
_cell_length_a 9.7334
_cell_length_b 9.7334
_cell_length_c 6.1726
_cell_angle_alpha 90.00
_cell_angle_beta 90.00
_cell_angle_gamma 120.00
loop_
_atom_site_label
_atom_site_fract_x
_atom_site_fract_y
_atom_site_fract_z
Sm1 0.1503 0.7760 0.0000
Al1 0.3333 0.6667 0.5753
____________
PHOENIX, refuge site of
Phoenix's 2019 Best Actor role
Phoenix's birthplace
Phoenix's debris
Phoenix's Go the Gorilla, e.g.
Phoenix's home: Abbr.
Phoenix's NBA team
Phoenix's origin
Phoenix's remains
Phoenix's remains, and origin
Phoenix's source of rebirth
Phoenix's st.
Phoenix's state, on scoreboards
Phoenix's state: Abbr.
Phone __
Phone ___
Phone ___ (office annoyance)
Phone "game"
Phone (fan)
Phone a radio show
Phone abbr.
Phone accessory
Phone accessory banned at Disney parks
Phone add-on
Phone alert sound whose waves travel best through element #7?
Phone answerer's cry
Phone answerer's greeting
Phone answerer's opener
Phone answerer's word
Phone app image
Phone app pictorial symbol
Phone app symbol
Phone attachment
phone background
(Here the page breaks off for calculated crystals)
- - -
No. 1
Starting from a crystal structure in Alexandria, relaxed with PBE, the XRD peak list of YThNiAu was computed for Cu Kα (λ = 1.5418 Å).
Intensities are scaled so that the largest is 100.

Structure:
Cell: 4.250 3.834 11.517 Å, 90.00 90.00 90.00°
Space group Amm2 (No. 38)
One atom of each set of equivalent atoms:
Y: 0.000 0.000 0.000 [2 per cell]
Th: 0.500 0.000 0.722 [2 per cell]
Ni: 0.000 0.000 0.255 [2 per cell]
Au: 0.500 0.000 0.434 [2 per cell]

Main lines, in order of rising 2θ (2θ = 10–90°):
2θ (°)	I (rel.)	(hkl)
20.9	35.8	1 0 0
31.1	41.5	0 0 4
32.4	100.0	1 1 1
33.0	41.8	0 1 3
37.7	29.9	1 0 4
39.4	86.3	1 1 3
42.5	28.8	2 0 0
65.6	31.3	2 2 0

=====

No. 2
Starting from a crystal structure in Alexandria, relaxed with PBE, the XRD peak list of Ti11Ni4Au9 was computed for Cu Kα (λ = 1.5418 Å).
Intensities are scaled so that the largest is 100.

Structure:
Cell: 12.994 19.677 3.013 Å, 90.00 90.00 90.00°
Space group Cmmm (No. 65)
One atom of each set of equivalent atoms:
Ti: 0.000 0.000 0.000 [2 per cell]
Ti: 0.000 0.161 0.000 [4 per cell]
Ti: 0.000 0.370 0.000 [4 per cell]
Ti: 0.197 0.500 0.000 [4 per cell]
Ti: 0.237 0.173 0.000 [8 per cell]
Ni: 0.149 0.401 0.500 [8 per cell]
Au: 0.000 0.500 0.500 [2 per cell]
Au: 0.108 0.265 0.500 [8 per cell]
Au: 0.146 0.073 0.500 [8 per cell]

Main lines, in order of rising 2θ (2θ = 10–90°):
2θ (°)	I (rel.)	(hkl)
21.0	32.7	3 1 0
29.6	61.4	0 0 1
38.2	34.8	1 5 1
39.0	100.0	4 6 0
40.7	78.2	0 6 1
40.8	78.9	4 0 1
41.9	41.1	1 9 0
49.8	42.6	4 6 1

=====

No. 3
Starting from a crystal structure in Alexandria, relaxed with PBE, the XRD peak list of Ti6Ni6Au was computed for Cu Kα (λ = 1.5418 Å).
Intensities are scaled so that the largest is 100.

Structure:
Cell: 4.864 8.643 8.716 Å, 90.00 90.00 90.00°
Space group Immm (No. 71)
One atom of each set of equivalent atoms:
Ti: 0.000 0.000 0.158 [4 per cell]
Ti: 0.000 0.315 0.000 [4 per cell]
Ti: 0.000 0.347 0.500 [4 per cell]
Ni: 0.000 0.500 0.234 [4 per cell]
Ni: 0.250 0.250 0.250 [8 per cell]
Au: 0.000 0.000 0.500 [2 per cell]

Main lines, in order of rising 2θ (2θ = 10–90°):
2θ (°)	I (rel.)	(hkl)
14.4	46.3	0 1 1
29.4	61.2	1 1 2
36.0	30.7	1 0 3
36.2	32.3	1 3 0
41.4	46.6	0 0 4
41.8	81.8	0 4 0
41.9	79.4	1 3 2
42.6	100.0	2 2 0

=====

No. 4
Starting from a crystal structure in Alexandria, relaxed with PBE, the XRD peak list of TiNi2Au was computed for Cu Kα (λ = 1.5418 Å).
Intensities are scaled so that the largest is 100.

Structure:
Cell: 4.389 5.420 4.588 Å, 90.00 90.00 90.00°
Space group Pmmn (No. 59, origin choice 2)
One atom of each set of equivalent atoms:
Ti: 0.250 0.250 0.186 [2 per cell]
Ni: 0.250 0.001 0.668 [4 per cell]
Au: 0.250 0.750 0.178 [2 per cell]

Main lines, in order of rising 2θ (2θ = 10–90°):
2θ (°)	I (rel.)	(hkl)
25.4	33.8	0 1 1
26.1	39.0	1 1 0
38.6	18.6	0 2 1
41.1	38.1	2 0 0
43.9	100.0	1 2 1
44.6	38.9	1 0 2
76.9	18.4	3 2 1
85.2	17.2	2 2 3

=====

No. 5
- - -
Phone beeps
Phone bill addition
Phone bill encl.
Phone bill figure
Phone bill section
Phone bk. data
Phone bk. entries
Phone bk. info
Phone bk. listing
Phone bk. listings
phone book
Phone book abbr.
Phone book data
Phone book feature
Phone book listings: Abbr.
Phone book no.
phone books
PHONE booth
Phone booth stuffing, e.g.
Phone bug
Phone bug, e.g.
Phone button
Phone button abbr.
Phone Button Alley
Phone button below 7
Phone button below 8
Phone button below the 7
Phone button letters
Phone button letters next to a 4
Phone button sequence
Phone button symbol
Phone button that lacks letters
Phone button trio
Phone button trio on number 3
Phone button with no letters
phone call
Phone call at 3:00 a.m., at times
Phone call cost, in Bogart films
Phone call cost, in old films
Phone call enders
Phone call need, once
Phone call reply to "Who is this?"
Phone call response
Phone call, informally
Phone call?
Phone calls, room service charges, etc.
phone card
Phone carrier co.
Phone charger feature
Phone co. employee
Phone co. helper
Phone company employee
Phone company name that looks like a Roman numeral
Phone company offers
Phone company that became a mega-conglomerate
phone connection
Phone connections
Phone contact method
Phone convenience
phone designed to translate speech into text and vice versa
Phone dial abbr.
Phone dial trio
Phone dialer
Phone directory listings
• Between two parts of the entry: materials data:
+++
[1]
Structure and calculated powder XRD pattern of YErGe4 (a structure optimized by DFT (GGA-PBE); Cu Kα, 1.54184 Å).

a = 3.916 Å, b = 4.040 Å, c = 16.103 Å
α = 90.00°, β = 90.00°, γ = 90.00°
Space group Amm2 (No. 38)
Symmetry-distinct sites (fractional):
Y: 0.000 0.000 0.000 (multiplicity 2)
Er: 0.500 0.000 0.793 (multiplicity 2)
Ge: 0.000 0.000 0.342 (multiplicity 2)
Ge: 0.000 0.000 0.645 (multiplicity 2)
Ge: 0.500 0.000 0.150 (multiplicity 2)
Ge: 0.500 0.000 0.446 (multiplicity 2)

Main lines, sorted by position (2θ = 10–80°):
| 2theta | I (rel.) | index |
| --- | --- | --- |
| 11.0 | 11 | 0 0 2 |
| 25.3 | 12 | 1 0 2 |
| 27.6 | 13 | 0 1 3 |
| 33.4 | 18 | 0 0 6 |
| 35.7 | 13 | 0 1 5 |
| 36.1 | 100 | 1 1 3 |
| 40.8 | 13 | 1 0 6 |
| 44.9 | 16 | 0 2 0 |
| 46.4 | 15 | 2 0 0 |
| 76.9 | 11 | 1 3 3 |

---

[2]
Structure and calculated powder XRD pattern of ErSe2O8 (a structure optimized by DFT (GGA-PBE); Cu Kα, 1.54184 Å).

a = 9.091 Å, b = 9.091 Å, c = 9.091 Å
α = 90.00°, β = 90.00°, γ = 90.00°
Space group Fm-3m (No. 225)
Symmetry-distinct sites (fractional):
Er: 0.000 0.000 0.000 (multiplicity 4)
Se: 0.250 0.250 0.250 (multiplicity 8)
O: 0.145 0.145 0.145 (multiplicity 32)

Main lines, sorted by position (2θ = 10–80°):
| 2theta | I (rel.) | index |
| --- | --- | --- |
| 16.9 | 77 | 1 1 1 |
| 27.8 | 100 | 2 2 0 |
| 32.7 | 16 | 3 1 1 |
| 43.4 | 28 | 3 3 1 |
| 49.1 | 38 | 4 2 2 |
| 52.3 | 9 | 5 1 1 |
| 57.3 | 19 | 4 4 0 |
| 60.2 | 12 | 5 3 1 |
| 64.9 | 15 | 6 2 0 |
| 78.8 | 21 | 6 4 2 |

---

[3]
Structure and calculated powder XRD pattern of UH10C10N2Cl6 (a structure optimized by DFT (GGA-PBE); Cu Kα, 1.54184 Å).

a = 13.600 Å, b = 9.469 Å, c = 7.013 Å
α = 90.00°, β = 100.23°, γ = 90.00°
Space group C2/m (No. 12)
Symmetry-distinct sites (fractional):
U: 0.000 0.000 0.000 (multiplicity 2)
H: 0.060 0.270 0.441 (multiplicity 8)
H: 0.207 0.280 0.276 (multiplicity 8)
H: 0.228 0.000 0.792 (multiplicity 4)
C: 0.044 0.500 0.454 (multiplicity 4)
C: 0.089 0.373 0.408 (multiplicity 8)
C: 0.171 0.375 0.317 (multiplicity 8)
N: 0.209 0.500 0.272 (multiplicity 4)
Cl: 0.110 0.192 0.876 (multiplicity 8)
Cl: 0.122 0.000 0.328 (multiplicity 4)

Main lines, sorted by position (2θ = 10–80°):
| 2theta | I (rel.) | index |
| --- | --- | --- |
| 11.4 | 100 | 1 1 0 |
| 12.8 | 25 | 0 0 1 |
| 13.2 | 37 | 2 0 0 |
| 16.3 | 43 | 1 1 -1 |
| 16.7 | 27 | 2 0 -1 |
| 18.1 | 76 | 1 1 1 |
| 23.7 | 21 | 3 1 -1 |
| 25.2 | 36 | 2 2 -1 |
| 31.2 | 32 | 2 0 2 |
| 35.9 | 26 | 3 3 -1 |

---

[4]
Structure and calculated powder XRD pattern of Si2Au3 (a structure optimized by DFT (GGA-PBE); Cu Kα, 1.54184 Å).

a = 4.2466 Å, b = 4.2466 Å, c = 5.9159 Å
α = 90.00°, β = 90.00°, γ = 120.00°
Space group P-3m1 (No. 164)
Symmetry-distinct sites (fractional):
Si: 0.3333 0.6667 0.2228 (multiplicity 2)
Au: 0.0000 0.0000 0.0000 (multiplicity 1)
Au: 0.3333 0.6667 0.6644 (multiplicity 2)

Main lines, sorted by position (2θ = 10–80°):
| 2theta | I (rel.) | index |
| --- | --- | --- |
| 28.6 | 100 | 1 0 1 |
+++
Phone directory listings: Abbr.
Phone download
Phone downloads
Phone enclosure
Phone feature
phone feature Modern
phone feature Pay
phone feature Retro car
Phone features
Phone features, frequently
Phone fig.
Phone fillers
Phone for a pizza, e.g.
Phone for Chinese food
Phone for fare
Phone function
Phone go-aheads
Phone greeting
Phone greeting in Central America
Phone greeting proposed by Bell
Phone hacker on the expressway?
Phone headquarters
Phone home?
Phone hook-up
Phone hotline?
Phone ID of a sort
Phone image to touch
Phone in a play, e.g.
Phone in a pocket
Phone in a purse
Phone in an actor's hand, e.g.
Phone in crime shows
Phone in use sound
Phone inits.
Phone intro
Phone introduction?
Phone inventor
Phone key
Phone key letters
Phone keypad symbol
Phone letters
Phone letters above 4
Phone letters for 6